In the past, I’ve talked a lot about personal branding and how it helps you get better opportunities, create more optionality, and have pricing power.
But there also exists an underrated and almost magical aspect to personal branding that is related to whatever I mentioned above but rarely gets discussed — mostly because it feels deceptive.
It’s called Narrative Leverage.
-- Attached: data records --
'''
(1)
{
  "formula": "SrCaRe2",
  "functional": "PBEsol",
  "state": "relaxed",
  "cell": [[3.6677, 0.0000, 0.0000], [0.0000, 5.2115, 0.0000], [-1.8339, -2.6058, 5.0869]],
  "species": ["Re", "Ca", "Sr", "Re"],
  "frac_coords": [[0.2987, 0.7987, 0.5975], [0.7394, 0.2394, 0.4789], [0.5178, 0.5178, 0.0356], [0.9441, 0.9441, 0.8881]],
  "m_tot_mub_per_fu": 0.000,
  "total_energy_ev_per_atom": -7.0088
}

(2)
{
  "formula": "Te2PtPb",
  "functional": "PBEsol",
  "state": "relaxed",
  "cell": [[-3.3101, -0.5497, -2.3513], [0.2345, -2.3447, -3.3518], [-2.8235, -6.6709, 1.9647]],
  "species": ["Te", "Pt", "Te", "Pb"],
  "frac_coords": [[0.7507, 0.7507, 0.7478], [0.2558, 0.2558, 0.2327], [0.9803, 0.9803, 0.0590], [0.5132, 0.5132, 0.4605]],
  "formation_energy_uncorrected_ev_per_fu": -0.53,
  "m_tot_mub_per_fu": 0.000,
  "total_energy_ev_per_atom": -4.6366
}

(3)
{
  "formula": "SrCu2Ir",
  "functional": "PBEsol",
  "state": "relaxed",
  "cell": [[4.2426, 0.0000, 0.0000], [-2.1213, 3.6749, -0.0431], [0.0000, -2.3824, 5.1742]],
  "species": ["Cu", "Cu", "Ir", "Sr"],
  "frac_coords": [[0.7558, 0.5116, 0.2671], [0.0628, 0.1257, 0.1878], [0.4353, 0.8707, 0.3056], [0.2460, 0.4920, 0.7395]],
  "polymorph_energy_ev_per_fu": 0.05,
  "m_tot_mub_per_fu": 0.000,
  "total_energy_ev_per_atom": -5.0961
}

(4)
{
  "formula": "Cd2NiBr",
  "functional": "PBEsol",
  "state": "relaxed",
  "cell": [[-0.5108, 3.2618, 2.1940], [-3.8776, -0.7815, 0.2591], [3.0008, -3.8793, 2.8849]],
  "species": ["Cd", "Ni", "Br", "Cd"],
  "frac_coords": [[0.0000, 0.0000, 0.0000], [0.5000, 0.5000, 0.0000], [0.2500, 0.7500, 0.5000], [0.7500, 0.2500, 0.5000]],
  "formation_energy_uncorrected_ev_per_fu": 1.40,
  "polymorph_energy_ev_per_fu": 1.06,
  "m_tot_mub_per_fu": 0.001,
  "total_energy_ev_per_atom": -2.2555
}

(5)
{
  "formula": "CoCuNi2",
  "functional": "PBEsol",
  "state": "relaxed",
  "cell": [[-0.1570, 1.9340, 2.8699], [-3.3964, 0.4654, -0.4995], [1.1012, -4.0835, 0.7212]],
  "species": ["Co", "Ni", "Ni", "Cu"],
  "frac_coords": [[0.5000, 0.5000, 0.0000], [0.0000, 0.0000, 0.0000], [0.7500, 0.2500, 0.5000], [0.2500, 0.7500, 0.5000]],
  "m_tot_mub_per_fu": 2.747,
  "total_energy_ev_per_atom": -6.0227
}

(6)
{
  "formula": "MgCd2P",
  "functional": "PBEsol",
  "state": "relaxed",
  "cell": [[3.1655, 0.0060, 0.0000], [-0.2366, 4.5688, 0.0000], [-1.4645, -2.2874, 5.5199]],
  "species": ["P", "Cd", "Cd", "Mg"],
  "frac_coords": [[0.5000, 0.5000, 0.0000], [0.0000, 0.0000, 0.5000], [0.5000, 0.5000, 0.5000], [0.0000, 0.0000, 0.0000]],
  "m_tot_mub_per_fu": 0.000,
  "total_energy_ev_per_atom": -2.4461
}

(7)
{
  "formula": "Be2Rh",
  "functional": "PBEsol",
  "state": "relaxed",
  "cell": [[2.8126, 0.0000, 0.0000], [0.0000, 2.8126, 0.0000], [-1.4063, -1.4063, 3.6852]],
  "species": ["Rh", "Be", "Be"],
  "frac_coords": [[0.0000, 0.0000, 0.0000], [0.3341, 0.3341, 0.6682], [0.6659, 0.6659, 0.3318]],
  "m_tot_mub_per_fu": 0.000,
  "total_energy_ev_per_atom": -5.8983
}

(8)
{
  "formula": "BiBSb2Te",
'''
I initially came across this term via Kevin Kwok, who describes narrative leverage as a form of PE ratio, but for startups and private markets.
He calls it the PR ratio — Perception to Reality ratio.
Let’s take a step back and consider what a high PE ratio does for a public company:
It is cheap cost of capital. It allows the company to raise funds based on the narrative of what they're going to achieve in the future. It is a loan pulled forward from the future.
But a high PE ratio is only good when the management can deliver a high ROIC (Return on Invested Capital). If the management isn't smart enough to deploy this additional capital towards investments in the business that pay high returns, the PE ratio by itself can be quite deceptive. The same goes for the PR ratio.
But let's assume you can deploy the capital you get to better live up to the narrative you've created for yourself.
In that case, it turns into a self-fulfilling prophecy.
Your perception and personal brand helped you gain access to capital and opportunities that made your public perception turn into a reality.
If you have had any experience making money on the internet as a freelancer, you would know how ill-equipped you were to handle those initial clients — both in terms of skillset and professional hygiene. But those clients trusting you with their work is what allowed you to actually turn into the person you put yourself out to be.
Via personal branding, you aren't simply shouting in a public square, trying to pull attention and get noticed; you are intentionally and carefully creating a compelling narrative for yourself that makes people excited to work with you. How and what you do with the opportunities that come your way will then decide if you can back your PR ratio with real results.
Narrative leverage also works for startups, as we discussed in Hype as a Strategy. For startups, narrative leverage helps not just in acquiring cheap capital but also in areas like recruiting, customer development, research, marketing, and establishing culture.
- Narrative leverage makes people excited to work for you.
- It makes customers care more about your product and cements their confidence in the product.
- It makes your team work towards a vision and see beyond their individual roles and feel invested in the success of the company.
But like all leverage, narrative leverage too is a double-edged sword.
If you can't back up your narrative with solid proof down the line, it can all come crashing down.
To put it simply,
1. There are people who talk the talk but can't walk the walk.
2. Then there are people who walk the walk but don't talk the talk.
3. And then are those who talk the talk AND walk the walk.
It's a trivial exercise to figure out which one of these does the best in today's world.
(psst... it's No. 3!)